I have been doing daily blood pressure and heart rate readings since my heart surgery. The days I take time to do something for myself, like making time to read, my heart rate is lower.
i bought a book on the history of Scotland a while ago and finally sat down to start reading it. Very fascinating since it starts out how the country was formed back in the Ice ages. I agree with being on social media too much is not nourishing especially facebook. Today I also took a 2 mile walk with Stanley (dog) and rested. I am finally feeling more like myself after having COVID
Nourishment…first of course I’m thinking of food, but then also that there are several other forms of nourishment- nature, exercise, sleep, knowledge, friendship, love… focusing on each of these areas individually- and maybe setting small goals for each.
Between two parts of the article: molecular data:
+++
Here is a molecular structure, C3H5NO2 in a non-equilibrium geometry from OMol25. Energies are from wB97M-V/def2-TZVPD.

For the relative energy (zero: lowest compared OMol25 entry of this formula, charge and spin), the calculation gives 4.4698 eV. The value obtained for the energy is -8773.22487 eV. The HOMO energy comes out at -8.409 eV. As for the lowest unoccupied orbital energy: 0.534 eV. For the gap between HOMO and LUMO, the calculation gives 8.94 eV.

Element x y z (Å)
C -0.1010 -0.4205 -0.3136
C -0.4217 1.2088 0.8136
C 0.9673 -1.8009 -0.8470
N -1.0969 -0.5765 -1.0510
O 0.5272 1.3690 1.7873
O 2.1321 -1.8773 -0.7263
H -0.4255 1.9531 0.0298
H -1.3748 0.9688 1.2614
H 0.2625 -2.4471 -1.3695
H -1.8613 0.0888 -0.9780
H 1.3922 1.5338 1.3931

---

Here is 7 unconnected molecules or ions with the total composition C5H22O7 in a non-equilibrium geometry from OMol25. Energies are from wB97M-V/def2-TZVPD.

For the relative energy (zero: lowest compared OMol25 entry of this formula, charge and spin), the calculation gives 1.7711 eV. As for the SMILES: C=CCCCO.O.O.O.O.O.O. The value obtained for the energy is -19873.27217 eV. The HOMO energy comes out at -10.117 eV. As for the lowest unoccupied orbital energy: 0.349 eV. For the gap between HOMO and LUMO, the calculation gives 10.47 eV.

Element x y z (Å)
C 2.8425 -0.2412 -0.7737
O 2.7595 0.7555 0.2682
C 1.4899 -0.7752 -1.2626
C 0.4083 0.3368 -1.2721
C 0.8404 1.6371 -1.9703
C 0.7527 2.8246 -1.3769
H 3.2124 0.3185 -1.6441
H 3.5844 -0.9442 -0.4212
H 2.0377 1.3559 0.0159
H 0.9913 -1.6180 -0.7606
H 1.5806 -1.2226 -2.2580
H -0.3905 -0.0758 -1.9040
H 0.0627 0.5085 -0.2508
H 1.0359 1.5122 -3.0115
H 0.9973 3.7691 -1.8302
H 0.4019 3.0071 -0.3642
H -2.4236 -1.8383 0.9022
H -2.6362 -3.2826 1.0470
O -2.9775 -2.5360 0.5379
H -2.7979 0.2866 0.8447
H -1.3466 0.4427 1.3673
O -2.2872 0.5551 1.6167
H -2.0371 2.3140 1.2221
H -1.8055 3.2474 2.5019
O -1.9061 3.2184 1.5511
H 1.9081 0.2927 1.6176
H 1.0266 1.1174 2.6059
O 1.1938 0.2216 2.3024
H -2.3515 -3.0137 -1.2061
H -3.2105 -2.2472 -2.1506
O -2.2811 -2.3444 -1.9118
H 0.2742 -2.8399 2.6563
H 0.7199 -1.9314 1.6094
O 0.3312 -2.8108 1.7020

---

Here is 2 unconnected molecules or ions with the total composition C21H17F3NO2S2 in a non-equilibrium geometry from OMol25. Energies are from wB97M-V/def2-TZVPD.

The value obtained for the energy is -57462.53292 eV. The HOMO energy comes out at -3.051 eV. As for the lowest unoccupied orbital energy: 2.421 eV. Its charge is -1. For the gap between HOMO and LUMO, the calculation gives 5.47 eV.

Element x y z (Å)
C 6.0294 -3.2954 -1.0717
C 4.7983 -2.4354 -1.0986
C 4.2109 -2.0280 0.1054
C 3.0732 -1.2271 0.1030
C 2.5154 -0.8446 -1.1184
S 1.1129 0.2575 -1.1345
N -0.1900 -0.8586 -1.0952
C -1.3764 -0.3740 -0.9958
C -2.5616 -1.2197 -1.0300
C -3.8372 -0.6221 -1.0481
C -4.9778 -1.4126 -1.0821
C -4.8523 -2.8120 -1.1033
C -3.5815 -3.4149 -1.0942
C -2.4328 -2.6201 -1.0641
O 1.1300 1.0096 0.0978
O 1.1069 0.9336 -2.4084
C 3.0922 -1.2326 -2.3290
+++
I think it comes from balance. Those thoughts and decisions that take me out of balance usually end up with skinned knees. If I equate daily living to riding a bike, then balance will deliver the best results.
Honestly, I am taking this literally, and know that I need to do better at providing nourishing meals for myself and my husband. I have gotten away from cooking since retiring and plan to get back to it now.
The first thing that comes to mind,
is exercise. I need to be more regular
about this. Getting out for a quick walk,
What comes next are records of molecules, not part of the text:
┌──
C2H3NO2S | the ωB97M-V functional and the def2-TZVPD basis

Last column: Mulliken spin population.
Geometry (Å):
C1 -0.159 0.952 0.490  -0.0538
C2 -0.380 -0.337 -0.233  0.7245
N1 -0.882 2.024 0.496  0.3817
O1 0.290 -2.507 -1.555  0.2180
O2 1.771 -1.758 0.364  0.2085
S1 0.740 -1.514 -0.602  0.5479
H1 0.671 0.861 1.102  0.0037
H2 -1.412 -0.394 -1.193  -0.0227
H3 -0.639 2.674 1.130  -0.0078

Molar mass (g/mol): 105.1
2S+1: 3
HOMO energy (spin up / spin down) (eV): -7.833 / -10.970
⟨S²⟩: 2.035
Energy relative to the best compared isomer or geometry (same formula, charge and spin) (kcal per mole): 59.1

~~~~~

# 1
Density functional theory data (ωB97M-V/def2-TZVPD) for C25H28N5O6Pb as an isolated structure.

```
! RIJCOSX wB97M-V def2-TZVPD def2/J DEFGRID3
* xyz -1 1
Pb -0.1921 -0.2470 -0.3022
N 1.6666 -0.2203 1.4254
C 1.9009 1.1959 1.7070
C 1.9368 2.0347 0.4141
O 2.7571 2.9435 0.3044
N 1.0101 1.6670 -0.4572
C 0.8924 2.4194 -1.6872
C 0.3835 1.5731 -2.8749
O 0.5217 2.0195 -4.0064
O -0.1798 0.4603 -2.6040
H 2.4824 -0.6349 0.9904
H 1.4465 -0.7373 2.2680
H 1.0507 1.5706 2.2814
H 2.8246 1.3665 2.2743
H 0.1566 3.2268 -1.5586
H 1.8479 2.8810 -1.9559
O 0.6490 -3.1441 -0.3087
C 0.1689 -3.6709 -1.3012
C 0.4440 -3.2159 -2.7141
C -0.7964 -2.6135 -3.4046
C -2.1356 -3.0826 -2.8359
C -2.3698 -4.5897 -2.9621
C -1.2814 -5.4353 -2.2717
N -0.6215 -4.7623 -1.1801
H 0.8295 -4.0701 -3.2798
H 1.2270 -2.4598 -2.6766
H -0.7492 -2.8458 -4.4720
H -0.7545 -1.5288 -3.2942
H -2.9354 -2.5705 -3.3737
H -2.2263 -2.7763 -1.7913
H -2.4010 -4.8641 -4.0186
H -3.3446 -4.8302 -2.5319
H -0.5234 -5.7273 -3.0056
H -1.7195 -6.3563 -1.8780
H -0.8922 -4.9972 -0.2362
O -3.3741 -0.6622 0.1410
C -3.0861 0.1730 0.9765
N -3.9817 0.7432 1.8449
C -3.3442 1.7076 2.7020
C -1.8634 1.5429 2.2234
O -0.9255 2.1288 2.7289
N -1.8330 0.6484 1.2379
C -3.4686 1.3554 4.1737
C -2.5545 1.8639 5.0893
C -2.6720 1.5648 6.4333
C -3.7206 0.7831 6.8878
C -4.6441 0.2881 5.9837
C -4.5165 0.5662 4.6336
C -3.8606 3.1274 2.5429
C -5.2189 3.3505 2.3474
C -5.7173 4.6383 2.2621
C -4.8663 5.7229 2.3834
C -3.5133 5.5078 2.5831
C -3.0121 4.2207 2.6668
H -4.9687 0.7083 1.6654
H -1.7346 2.4658 4.7315
H -1.9413 1.9481 7.1304
H -3.8155 0.5550 7.9403
H -5.4708 -0.3174 6.3326
H -5.2362 0.1632 3.9370
H -5.9038 2.5176 2.2728
H -6.7759 4.7958 2.1089
H -5.2579 6.7284 2.3218
H -2.8416 6.3482 2.6780
H -1.9556 4.0621 2.8166
*
```

Its total energy is -51368.7068 eV. The energy above the lowest of the compared OMol25 structures with the same formula, charge and spin is 0.536 eV. The LUMO energy is 2.5297 eV. As for the highest occupied orbital energy: -0.1867 Eh.

Here are the Löwdin charges for atoms 1 to 6, given in e: 1.494, -0.080, -0.193, -0.587, -0.008, -0.128

# 2
Density functional theory data (ωB97M-V/def2-TZVPD) for one molecule with the formula C25H28N6O3S.

```
! RIJCOSX wB97M-V def2-TZVPD def2/J DEFGRID3
* xyz 0 1
C -3.7796 -3.4172 0.4774
C -2.4524 -2.7823 0.1979
C -2.2276 -2.0875 -0.9841
C -0.9915 -1.5332 -1.2499
└──
bike ride, or going to (I can’t believe
I’m saying this) the gym. My mental and
physical health, really benefit from this.
And of course, connection. I really get so
much from this. It really feels like
nourishment. Last night while working,
I had the opportunity to hang out with
some locals (real salt of the earth) at a
little crossroads market.
There was definitely some alcoholism, but
it was so nice to see people just relaxing
after working, shooting the breeze, and
obviously enjoying earth other’s company.
It felt a little like anthropology. Good
to know that this still exists, in one
of the most expensive places on earth.
It took them a minute to figure me out,
as I was dressed in my chauffeur’s
get up. But after some initial hesitation,
we were able to connect and exchange
stories and I learned a thing or two.
Several comments point to the need to remove things that drain nourishment. I’ve reduced my time on social media quite a bit and am making Sundays “app-free” except for my morning time in this space and reading poetry at sites I visit every morning. As I started that practice I found it carried forward into the weekdays. Each time I find myself in a pause where I would have reached for my phone to look at something and I don’t, that’s a moment of mindfulness and awareness and that’s nourishing. The time that doesn’t get thrown into the rabbit hole is time with which to read with intention, go for a bike ride with my sweetheart, clear out some things I don’t need and post them in our neighborhood Buy Nothing group–all actions that nourish.
I could relate to the picture for the word of the day. I just want to BE. Curled up and content with what IS. My nourishment will come from seeing all as being good.
Taking more time to pray and listening to music….being mindful. Taking time to think about the remainder of my life- how I want to live. We don’t know how many days we are given and I need to use them wisely. Eating in a healthy manner…which I do most of the time. Continuing daily with all the folks here on Grateful Living.
physical – my breakfast nourishment right now is a delicious waffle with my blueberry flavored coffee. I will be sure to drink plenty of water especially because I will be mowing the back yard soon
spiritual nourishment – visiting this website
emotional nourishment – meditations, loving kindness and positive self talk
To continue on with my daily practices of mindfulness, meditation, standing yoga and of course gratitude. That helps with the mental side of the equation. For the physical side to continue with preparing meals with only ingredients that I can pronounce. Not going overboard with a nightly snack, some call it dessert, but I know it is really a daily dose of sugar in its unrefined state!
Give yourself the gift of free bi-monthly inspiration including uplifting articles, diverse stories, supportive practices, videos, and more, delivered with heart to your inbox.
I have been doing daily blood pressure and heart rate readings since my heart surgery. The days I take time to do something for myself, like making time to read, my heart rate is lower.
I have read some novels set in Scotland which I have really enjoyed. Dog walks are great.
i bought a book on the history of Scotland a while ago and finally sat down to start reading it. Very fascinating since it starts out how the country was formed back in the Ice ages. I agree with being on social media too much is not nourishing especially facebook. Today I also took a 2 mile walk with Stanley (dog) and rested. I am finally feeling more like myself after having COVID
Nourishment…first of course I’m thinking of food, but then also that there are several other forms of nourishment- nature, exercise, sleep, knowledge, friendship, love… focusing on each of these areas individually- and maybe setting small goals for each.
I think it comes from balance. Those thoughts and decisions that take me out of balance usually end up with skinned knees. If I equate daily living to riding a bike, then balance will deliver the best results.
Honestly, I am taking this literally, and know that I need to do better at providing nourishing meals for myself and my husband. I have gotten away from cooking since retiring and plan to get back to it now.
The first thing that comes to mind,
is exercise. I need to be more regular
about this. Getting out for a quick walk,
bike ride, or going to (I can’t believe
I’m saying this) the gym. My mental and
physical health, really benefit from this.
And of course, connection. I really get so
much from this. It really feels like
nourishment. Last night while working,
I had the opportunity to hang out with
some locals (real salt of the earth) at a
little crossroads market.
There was definitely some alcoholism, but
it was so nice to see people just relaxing
after working, shooting the breeze, and
obviously enjoying earth other’s company.
It felt a little like anthropology. Good
to know that this still exists, in one
of the most expensive places on earth.
It took them a minute to figure me out,
as I was dressed in my chauffeur’s
get up. But after some initial hesitation,
we were able to connect and exchange
stories and I learned a thing or two.
Yes! I had mentioned friendship — but connection was really what I meant. I feel this way too – so nourishing to the soul
Several comments point to the need to remove things that drain nourishment. I’ve reduced my time on social media quite a bit and am making Sundays “app-free” except for my morning time in this space and reading poetry at sites I visit every morning. As I started that practice I found it carried forward into the weekdays. Each time I find myself in a pause where I would have reached for my phone to look at something and I don’t, that’s a moment of mindfulness and awareness and that’s nourishing. The time that doesn’t get thrown into the rabbit hole is time with which to read with intention, go for a bike ride with my sweetheart, clear out some things I don’t need and post them in our neighborhood Buy Nothing group–all actions that nourish.
I could relate to the picture for the word of the day. I just want to BE. Curled up and content with what IS. My nourishment will come from seeing all as being good.
I will continue to work at corralling the hypercritical voice in my head. It’s like a frost that zaps and stunts my own growth.
Taking more time to pray and listening to music….being mindful. Taking time to think about the remainder of my life- how I want to live. We don’t know how many days we are given and I need to use them wisely. Eating in a healthy manner…which I do most of the time. Continuing daily with all the folks here on Grateful Living.
By owning my thoughts, feelings and actions…
physical – my breakfast nourishment right now is a delicious waffle with my blueberry flavored coffee. I will be sure to drink plenty of water especially because I will be mowing the back yard soon
spiritual nourishment – visiting this website
emotional nourishment – meditations, loving kindness and positive self talk
To continue on with my daily practices of mindfulness, meditation, standing yoga and of course gratitude. That helps with the mental side of the equation. For the physical side to continue with preparing meals with only ingredients that I can pronounce. Not going overboard with a nightly snack, some call it dessert, but I know it is really a daily dose of sugar in its unrefined state!
Giving up what does not nourish me. I need to start with what drains me … that includes people, spaces and places.
Also draining is the constant barrage of bad news.
Thank you for “voicing this”. I need to reexamine this in my life.